招生 & 援助

To view a list of program application deadlines, 点击这里

• The text is interrupted by data records:
........
Entry 1:
Computed, not measured: C20H19N5O2ReS3 as an isolated structure, with the ωB97M-V functional and the def2-TZVPD basis.

- 2S+1: 2
- Charge: +2
- E_LUMO (alpha / beta): -8.51 / -8.21 eV
- Frontier orbital gap (alpha / beta): 5.7225 / 6.0178 eV

Each line ends with the natural charge from an NBO analysis.
Geometry (Å):
Re 0.143 -0.225 0.456  0.953
C 2.015 -0.871 2.939  -0.251
O 0.749 -0.334 2.435  -0.523
C -0.281 -0.334 3.473  -0.094
C -1.433 0.486 2.965  -0.099
O -1.744 -0.030 1.662  -0.575
C -2.888 0.625 1.072  -0.249
H 2.264 -0.329 3.848  0.222
H 2.762 -0.691 2.173  0.232
H 1.896 -1.933 3.137  0.216
H 0.155 0.104 4.369  0.239
H -0.562 -1.373 3.651  0.221
H -1.165 1.543 2.879  0.213
H -2.304 0.378 3.613  0.238
H -3.759 0.439 1.698  0.221
H -3.038 0.183 0.091  0.205
H -2.703 1.696 0.981  0.206
S 2.230 -0.029 -0.318  0.238
C 1.986 1.679 -0.648  -0.277
S 0.385 2.012 -0.008  0.178
C 2.831 2.535 -1.256  -0.197
C 4.104 2.087 -1.723  0.219
N 5.113 1.709 -2.116  -0.160
C 2.455 3.897 -1.456  0.219
N 2.147 4.989 -1.633  -0.165
N -1.507 -4.017 -0.808  -0.552
C -1.923 -4.716 0.359  0.202
C -2.977 -5.612 0.308  -0.228
C -3.393 -6.231 1.479  -0.159
C -2.791 -5.929 2.692  -0.185
C -1.753 -5.011 2.744  -0.172
C -1.306 -4.427 1.569  -0.280
S 0.133 -3.413 1.521  0.506
N -0.351 -2.314 0.287  -0.729
C -0.999 -2.774 -0.732  0.467
C -1.172 -1.795 -1.821  0.148
C -1.662 -2.118 -3.069  -0.190
C -1.761 -1.131 -4.041  -0.092
C -1.377 0.153 -3.710  -0.196
C -0.897 0.409 -2.438  0.089
N -0.777 -0.537 -1.490  -0.458
H -1.983 -4.280 -1.656  0.424
H -3.467 -5.832 -0.633  0.232
H -4.200 -6.949 1.440  0.248
H -3.124 -6.414 3.599  0.248
H -1.272 -4.780 3.686  0.236
H -1.951 -3.130 -3.310  0.240
H -2.131 -1.367 -5.029  0.263
H -1.439 0.965 -4.420  0.267
H -0.598 1.407 -2.161  0.240



Entry 2:
Computed, not measured: C20H20Br2IrN4O5S as an isolated structure, with the ωB97M-V functional and the def2-TZVPD basis.

- 2S+1: 2
- Charge: +2
- E_LUMO (alpha / beta): -9.23 / -9.22 eV
- Frontier orbital gap (alpha / beta): 4.0147 / 3.9508 eV

Each line ends with the natural charge from an NBO analysis.
Geometry (Å):
Ir -1.079 0.993 -0.422  1.391
N 0.707 -6.015 -2.326  -0.737
C -0.079 -4.937 -2.218  0.244
C -1.293 -5.010 -1.490  -0.249
C -2.091 -3.898 -1.367  -0.169
C -1.702 -2.699 -1.961  -0.335
C -0.516 -2.597 -2.678  -0.178
C 0.283 -3.708 -2.824  -0.258
S -2.655 -1.273 -1.521  2.292
O -2.232 -0.063 -2.232  -0.906
O -4.049 -1.534 -1.466  -0.829
N -1.976 -1.016 -0.041  -0.732
C -2.650 -0.738 1.076  0.511
N -3.644 -1.458 1.568  -0.426
C -4.232 -1.072 2.675  0.141
C -3.814 0.056 3.376  -0.277
C -2.777 0.778 2.800  0.093
N -2.215 0.390 1.677  -0.466
H 0.434 -6.895 -1.913  0.414
H 1.563 -5.985 -2.858  0.411
H -1.577 -5.947 -1.033  0.236
H -3.024 -3.928 -0.826  0.251
H -0.249 -1.650 -3.118  0.236
H 1.196 -3.663 -3.397  0.228
H -5.058 -1.681 3.020  0.235
H -4.268 0.350 4.306  0.263
H -2.410 1.700 3.233  0.236
Br -3.363 2.668 -0.535  0.222
C -2.843 3.256 -2.304  -0.520
........
• Back to the text:

招生 Requirements

  • Application and $50 fee.
  • 2 - 3页, double spaced personal statement of academic and professional goals (if GPA is lower than 2.8, please address it in your Personal Statement & second interview is required)
  • 当前的简历
  • One official transcript (sealed) from all colleges or universities attended. If your bachelor's degree is in progress, upload an unofficial one now; then send the official transcript after your degree is posted. 
  • Bachelor’s degree: Evidence of completion from a regionally-accredited college
  • Three letters of recommendation from professional and/or academic references who can evaluate your potential to be a counselor. Letters from personal references (such as family or friends) will not be accepted. Please provide three professional and or academic references and their contact information in the Recommenders section of the application. The online system will contact them directly with instructions on uploading letters of recommendation. 
    • 请注意: Letters of Recommendation must be received for your file to be deemed complete and ready for review; however, 这些信件 DO NOT need to be received by admissions prior to submitting your application.
  • Evidence of health insurance (and/or a signed waiver)
  • Results of a tuberculin test (within the last year)

For Master's degree applicants specializing in School Counseling and School Psychology or Post-MA, PPS Credential students only:

  • Certificate of Clearance (student needs to have paid for the CTC document): Required for all School Counseling and School Psychology applicants. Clearance is mandatory before any PPS School Counseling or School Psychology student enters any practicum or field placement.
  • 的证明 registration for CBEST test or passing another Basic Skills Requirement (BSR) alternative option 经中心批准. Passing is not required for admission; however, a passing BSR is required prior to beginning any practicum or field placement.

NOTE: After submitting your application, you will be notified to schedule an admissions interview.


You may begin your application and reference our admissions checklist and application deadlines and requirements to ensure it is completed thoroughly. 

If you have not been working in the field since earning a master’s degree, then you must take the National Counselor Examination (不错的) to verify currency before a 学习计划 is created. 


After your application is processed and it is determined that your Master's meet the CTC requirements, you will be contacted to schedule a group interview. If your graduate GPA is below 2.8, a second, individual interview is also required.


Once you have been admitted into the School Psychology PPS Credential-Only program, you will pay a $200 transcript evaluation fee and a faculty advisor will create your individualized 学习计划. Most students will earn their credential in 2 years.

You will need to supply your master's degree transcript, 课程教学大纲, 课程目录, for evaluation to determine which of your master's courses are 转移able. To fulfill the College's residency requirement, at least 34 units must be completed within the PPSC Program. A maximum of 9 units (3 full unit classes) can be 转移red in and 25 additional units may be challenged. Professional experience is also taken into consideration for course challenges and will be discussed with the faculty advisor when creating your 学习计划.

Courses acceptable for 转移 credit must have been taken within the last five years. Coursework may be acceptable beyond five years if you are able to display current experience and knowledge or by taking the National Counselor Examination (不错的).

You may reference our general School Psychology 学习计划 to compare to your graduate transcript and see which courses you may want to challenge, 转移, or still need to take.

